Page 44 of Larissa

“We all get a vote.”

“I think we all get a stone in a three-set,” he replied. “I was already thinking about it. She would like it if we put thought into it. Like Jackson a stone that means protection or strength. You’re fun and adventurous.”

“Your role is just as important,” I reminded him, hating that he had a middle-child complex when we were fucking triplets. It was valid, but we were all the same age, and we still had shit like that which was just ridiculous.

Really, it was.

When everyone started wrapping up, I realized I’d not seen my nugget come back out again, going in search of her. My heart ached as I stepped into the storage barn and I rushed off to find her, scared she wasn’t okay.

She wasn’t, but the pain or upset couldn’t have been too deep if we didn’t feel it outside.

“Nugget?” I whispered as I squatted down next to her. She flinched, hurrying to mop up her tears and sniffling loudly. “What’s up, duck?”

“She’s gone,” she rasped. “The puzzle spirit. I can’t summon her anymore. Her husband was convicted and we finished the puzzle and now I can’t summon her.”

“Hey, that’s great, she moved on,” I comforted as I plopped down on my butt and hugged her.

She gave me such a lost look. “Do we know that? We don’t really know that. What if she just became nothing because she had nothing left to hold onto?”

I sighed, leaning my forehead to hers. “I think I’d rather have that than be trapped in limbo, nugget. I’ve thought a lot about this, and I think even the ones you absorb or turn to nothing move on. I don’t think a soul, a consciousness, just becomesnothing. I think it’s one final piece of them here. You’ve said they get locked in that moment and I think it’s themin that moment.”

“You mean like an echo of who they were?”

I nodded. “Yeah, like that. I’m here, but there is always the energy or stains of my blood anywhere I’ve bled. Maybe some part of them fractures and really, they’reallfractured spirits that need that last part held here broken.” She didn’t reply so I trusted my gut that I was right on this. “What do you feel when you summon her?”

“Nothing, she’s gone,” she whispered.

Someone pasted records of crystals at this point
GeMoRh3 | GGA-PBE | relaxed

Output
Total moment = 3.01 Bohr magnetons per cell
Space group = Pm-3m (221)
Final energy = -33.4 eV per cell

a b c (Å): 4.4887 4.4887 4.4887
angles (deg): 90.00 90.00 90.00
Closest atoms and distances in Å follow each position.
Fractional coordinates of all 5 atoms:
1 Mo 0.5000 0.5000 0.5000  12 Rh 3.17
2 Rh 0.0000 0.5000 0.0000  2 Ge 2.24
3 Rh 0.0000 0.0000 0.5000  2 Ge 2.24
4 Rh 0.5000 0.0000 0.0000  2 Ge 2.24
5 Ge 0.0000 0.0000 0.0000  6 Rh 2.24

* * * * *

# Tb2Nd6Ag

A relaxed Tb2Nd6Ag crystal (PBE, the Alexandria database).

Computed properties:
DOS(E_F)   13.59 states/eV per cell
Formation energy from the elements   102 meV per atom
Calculated total energy   -4.42 eV per atom

Lattice parameters (Å, degrees): 10.0115 10.0115 3.5731 90.34 90.34 57.17
Fractional coordinates of all 9 atoms:
Tb  0.1777  0.1777  0.4945
Tb  0.8223  0.8223  0.5055
Nd  0.1639  0.5083  0.0010
Nd  0.2113  0.7887  0.5000
Nd  0.4917  0.8361  0.9990
Nd  0.5083  0.1639  0.0010
Nd  0.7887  0.2113  0.5000
Nd  0.8361  0.4917  0.9990
Ag  0.5000  0.5000  0.0000



# TbNd2Ag

A relaxed TbNd2Ag crystal (PBE, the Alexandria database).

Computed properties:
DOS(E_F)   3.84 states/eV per cell
Formation energy from the elements   -8 meV per atom
Calculated total energy   -4.26 eV per atom

Lattice parameters (Å, degrees): 10.9203 10.9203 10.9203 19.20 19.20 19.20
Fractional coordinates of all 4 atoms:
Tb  0.0000  0.0000  0.0000
Nd  0.2421  0.2421  0.2421
Nd  0.7579  0.7579  0.7579
Ag  0.5000  0.5000  0.5000



# TbNd2Ag

A relaxed TbNd2Ag crystal (PBE, the Alexandria database).

Computed properties:
DOS(E_F)   4.80 states/eV per cell
Formation energy from the elements   6 meV per atom
Calculated total energy   -4.25 eV per atom

Lattice parameters (Å, degrees): 3.6652 3.6652 10.8471 99.66 99.66 60.09
Fractional coordinates of all 4 atoms:
Tb  0.0000  0.0000  0.0000
Nd  0.5758  0.5758  0.7275
Nd  0.7580  0.7580  0.2750
Ag  0.1677  0.1677  0.5031



# TbNdAg2

A relaxed TbNdAg2 crystal (PBE, the Alexandria database).

Computed properties:
DOS(E_F)   2.33 states/eV per cell
Formation energy from the elements   -290 meV per atom
Calculated total energy   -4.06 eV per atom

Lattice parameters (Å, degrees): 3.6758 3.6758 7.5114 90.00 90.00 90.00
Fractional coordinates of all 4 atoms:
Tb  0.0000  0.0000  0.0000
Nd  0.0000  0.0000  0.5000
Ag  0.5000  0.5000  0.2327
Ag  0.5000  0.5000  0.7673



# Tb4NdAg

A relaxed Tb4NdAg crystal (PBE, the Alexandria database).

Computed properties:
DOS(E_F)   7.88 states/eV per cell
Formation energy from the elements   -77 meV per atom
Calculated total energy   -4.43 eV per atom

Lattice parameters (Å, degrees): 3.5975 3.5975 13.9666 90.00 90.00 90.00
Fractional coordinates of all 6 atoms:
Tb  0.0000  0.0000  0.1357
Tb  0.0000  0.0000  0.8643
Tb  0.5000  0.5000  0.3170

“You’re worried, but use your witchy goodness that taps into nature when you offer up everything to Gaia, nugget. I think you’ll find an answer if you’re open to it.”

She nodded, moving away from me and back into the circle. I saw her take several slow breaths in and out before activating the circle. She tried again and I saw it, I saw the answer which was why I felt okay pushing this.

I’d seen it when she’d tried to summon the psychiatrist’s spirit that had helped us but couldn’t.

She deactivated the circle and blinked at me as if coming out of a dream. “Peace. There’s nothing but peace there.”

“Exactly. I don’t think that would be the answer if a spirit was erased, do you?”

She shook her head and gave me an impressed look. “I love how smart you all are. It’s so fucking sexy. You all knock yourselves for not being book or school smart, but there are lots of kinds of intelligence and I adore yours.”

I cleared my throat. “Thanks, nugget.” I shrugged. “We get an outside perspective on some of this. I saw how peaceful you looked when you tried to summon the shrink.

“You even look that way when you absorb fractured spirits. I don’t have the answers, but I cannot think if you erased something that Gaia made it wouldn’t be peaceful.”

She nodded. “I think you’re right. It’s nice to have answers even if we’ll never know. I mean, like our beliefs.”

“It is.” I was glad she said that because it gave me the courage to ask something. “How come you never cut your hair when you hid it always, nugget?”

She frowned. “Random topic change much?”

I chuckled, shaking my head. “Yeah, I guess, but you were saying getting answers was better and I always wondered.” I nodded to where she was trying to get her hair out from under her butt as she moved closer to me. “I love your hair, don’t get me wrong, but it always struck me as odd you kept it so long when it was more to hide.”

“Promise not to laugh?” she whispered, staring at the floor which she always did when a topic pained her.

“I only laugh with you, nugget, never at you,” I said gently, pulling her onto my lap.

She narrowed her eyes at me. “I specifically remember you laughing at me and a lot when I couldn’t get the new shower to work.”

“Only because you thought we were pulling a prank and it was voice-activated. Coming in there and watching youshoutat your shower while naked was too funny.”